The UK Growers Thread!


Well-Known Member
the worst one by a long way was the Chechen casually slitting throats of their pows, one poor fukker was still fighting back with half his throat cut thru cant be nice


Well-Known Member
if they miss the main artery then you better believe you are gonna die a painful death but usually once they sever the blood flow to the brain it's fair game, no oxygenated blood getting to your noggin will usually end you instantly.

the ones that piss me off are the cunts who do it with a butter knife, then have to twist the head off cause there is no way of cutting through the spinal column. i would love to see a vid of a guillotine beheading, i think it would actually be a pretty humane way to go, i suppose the rough and ready approach has more gore factor though.


Well-Known Member
Ii smoke it bout 20 mins out the tube but it sits in boiling water when blasting the gas through then scrape up and freeze and make into 0.1 lumps for the nail but sumtimes spoil ower self's and it was 0.13 before and a havnt had one since haha


Well-Known Member
Fucking mugs that cant control their fucking dogs ffs, nearly ended up with a dead fucking dog,cunts lucky he shit it n run away with the fucking thing


Well-Known Member
Fucking wankers Rimmer, they should be fucking muzzled if they're not under fucking control, walks giving dog owners a bad name​


Well-Known Member
let me guess, he had a hoody and some kind of staff lol.
what you got a chihuaha?

nah 6ft n in a suit

i dont have a dog, he had a jack russel an a staffy cross n thinks its ok for the jack russel to go for ppl as "its young n doesnt know what hes doing" i told him either get it trained or dont take it near ppl if ur gonna be an irresponsible cunt n not bother training it, also if it goes for me again im gonna kill both his dogs n hospitalise him

Next to the piece, the page also holds data records.
<<<
VASP calculation (PBE with a Hubbard U) on an optimized crystal structure of NdCo2GeO6.

Calculated values
**M_tot**: 0.70 μB/atom
**Total DFT energy (no corrections)**: -66.58 eV per formula unit
**Space-group type**: No. 1

a = 5.2626 Å, b = 5.2659 Å, c = 5.6961 Å
α = 62.47°, β = 89.97°, γ = 60.05°
Fractional coordinates of all 10 atoms:
Nd 0.0000 0.0000 0.0000
Co 0.2681 0.4651 0.8025
Co 0.7862 0.4280 0.3585
Ge 0.4785 0.0438 0.4337
O 0.0809 0.4669 0.1661
O 0.2091 0.9379 0.6213
O 0.4520 0.9151 0.1655
O 0.5606 0.2316 0.6211
O 0.6323 0.2869 0.1649
O 0.8536 0.5873 0.6211

* * * * *

[1]
Computed, not measured: an optimized crystal structure of CsS4I at the PBE level of DFT.

The structure in POSCAR format:
```
CsS4I
1.0
5.619 0.000 0.000
-0.822 6.205 0.000
-0.550 -1.460 6.566
Cs S I
1 4 1
Direct
0.000 0.000 0.000
0.261 0.594 0.292
0.491 0.554 0.857
0.509 0.446 0.143
0.739 0.406 0.708
0.500 0.000 0.500
```

Summary:
As for the uncorrected formation energy: -0.373 eV per atom. Its space group is P-1 (2). As for the total magnetization: 0.000 μB/f.u. For the uncorrected energy, the calculation gives -21.15 eV/cell.

---

[2]
Computed, not measured: an optimized crystal structure of HgPd2S at the PBE level of DFT.

The structure in POSCAR format:
```
HgPd2S
1.0
-2.431 2.431 7.384
2.431 -2.431 7.384
2.431 2.431 -7.384
Hg Pd S
2 4 2
Direct
0.000 0.000 0.000
0.750 0.250 0.500
0.241 0.625 0.116
0.375 0.491 0.616
0.509 0.125 0.884
0.875 0.759 0.384
0.250 0.750 0.500
0.500 0.500 0.000
```

Summary:
As for the uncorrected formation energy: -0.055 eV per atom. Its space group is I-42d (122). As for the total magnetization: 0.000 μB/f.u. For the uncorrected energy, the calculation gives -30.07 eV/cell.

---

[3]
Computed, not measured: an optimized crystal structure of Pm2PrVN4 at the PBE level of DFT.

The structure in POSCAR format:
```
Pm2PrVN4
1.0
1.733 -6.002 0.000
1.733 6.002 0.000
0.000 0.000 12.129
Pm Pr V N
4 2 2 8
Direct
0.131 0.869 0.542
0.131 0.869 0.958
0.869 0.131 0.042
0.869 0.131 0.458
0.416 0.584 0.750
0.584 0.416 0.250
0.323 0.677 0.250
0.677 0.323 0.750
0.082 0.918 0.750
0.234 0.766 0.132
0.234 0.766 0.368
0.500 0.500 0.000
0.500 0.500 0.500
0.766 0.234 0.632
0.766 0.234 0.868
0.918 0.082 0.250
```

Summary:
As for the uncorrected formation energy: -1.210 eV per atom. Its space group is Cmcm (63). As for the total magnetization: 0.000 μB/f.u. For the uncorrected energy, the calculation gives -132.76 eV/cell.

---

[4]
Computed, not measured: an optimized crystal structure of CeHo7Tm4 at the PBE level of DFT.

The structure in POSCAR format:
```
CeHo7Tm4
1.0
9.298 -3.414 0.000
9.298 3.414 0.000
-0.011 0.000 5.890
Ce Ho Tm
1 7 4
Direct
0.000 0.000 0.000
0.000 0.000 0.500
0.187 0.187 0.253
0.287 0.287 0.757
0.461 0.461 0.750
0.539 0.539 0.250
0.713 0.713 0.243
0.813 0.813 0.747
0.131 0.595 0.253
0.405 0.869 0.747
0.595 0.131 0.253
0.869 0.405 0.747
```

Summary:
>>>


Well-Known Member
Fucking wankers Rimmer, they should be fucking muzzled if they're not under fucking control, walks giving dog owners a bad name​
Yup, always the ankle biters n all, staffy was perfectly behaved the whole time, well until i started going off at his owner, then he wasnt so happy lol


Well-Known Member
/\/\/\did it look something like that pooch sae?/\/\/\haha

you remind me of somebody i know, joint calming you down?

how the fuck did a jack russell go for you though, i'm having a fun in my mind trying to picture it.

hows it going rambo? took me a couple of months but sunni did the decent thing and let me back in


Well-Known Member
well im still banned as fuck from the site lol

can only sign in from a browser and even then It still don't run right, was a good laugh the last 5+ yrs but hay ho.

hope everyone is ok.
bearing up mate how ya been? anything interesting been going on?

From here or the other place?


Well-Known Member
haha you remind me of somebody i know, joint calming you down?

how the fuck did a jack russell go for you though, i'm having a fun in my mind trying to picture it.
lol in what way?

I was standing there talking while he walked past with dogs an then out corner of my eye see jack russel dart for me, teeth out n barking


Well-Known Member
bearing up mate how ya been? anything interesting been going on?

From here or the other place?
other place has been a waste of time n money mate, as for real life that aint going to great either lmao

this will give ya a laugh lads, done bout 40vals, 3 dominos, n a g of ket a few wks back and i have no fucking idea why but ive strippped naked to me boxer shorts and went for a walk lmao 3hrs later i thought i was gonna die of the cold n knocked up me mum in law aparently with me cock hanging outside me boxers begging for help....... drug are bad mmmmmmmmkay.......


Well-Known Member
you'll never learn will ya. how is she still your mother in law? they must be very open minded people lol